A great game player and keen historical student (especially the uniforms and personal effects of the 1880's to 1960's (from the Sudan & South Africa through the trenches of WWI and the tanks of WWII and on into Korea and Vietnam)) McLean, has announced a change in venue. Due to this change the War Dungeon, the game space under his home, will be shutting down at its current location in Nanaimo.
This was the set up for a final large game action, featuring his 1880's redcoats and Sudan miniatures and more.
Plenty of Jeff's former collection were featured in this mammoth game!
a view of the table from the south to north the river was 'attached' to the sea via a separate table
The situation was a Turkish walled city was coming under threat from massive forces approaching by land and sea!
some of the land attackers
The British had a chance to arrive before - or at the same time - or after - some of the attacking forces by sea.
Amazingly BOTH of the large British ships arrive BEFORE the mass of the attacking fleet.
the British force included a massive metal hull GUNBOAT
along with an armed merchant ship
The trick for the British forces is that they were limited in number ... the attackers would have an unknown number of waves of attacking forces both from land and sea.
Yours truly and my eldest son were tasked with coming up with some naval rules (to sort of match with the land rules) and handle the ships of both sides.
While other players took on the various attacking and defending columns of troops, our host ended up commanding some of the British forces in a supply column.
the pirate forces come on to engage the British
the supply columns are attacked in force ...
they then recoiled into a walled compound and fortified it
Meanwhile the island forces had seen the telegraph works being destroyed and at dawn witnessed the massed sails of the approaching pirates.
the burning telegraph works
Within a few turns the ships had all locked into combat and many boarding actions had been initiated.
Though two ships of the pirates were already sunk and the leader's vessel had capsized a landing boat full of Ghurkas who then proceeded to board the leader's boat and turn the decks into a red wash as the ship was sinking ...
boarding actions in progress
El-Gandalfi's command, just moments before the Ghurkas swarmed the decks ...
'''
Record 1
Below is a relaxed LiFeP2O7 crystal, with properties calculated at the PBE with a Hubbard U level.

Lattice parameters (Å, degrees): 7.001 8.300 9.126 90.00 114.00 90.00
Space group P2_1/c (No. 14)
Unique sites:
Li 0.212 0.054 0.339 x4
Fe 0.258 0.075 0.879 x4
P 0.035 0.734 0.966 x4
P 0.441 0.734 0.259 x4
O 0.022 0.097 0.657 x4
O 0.076 0.605 0.401 x4
O 0.126 0.249 0.959 x4
O 0.245 0.666 0.104 x4
O 0.383 0.244 0.301 x4
O 0.388 0.614 0.820 x4
O 0.482 0.589 0.380 x4

Computed properties:
Polymorph energy (0 for the lowest one) in kJ/mol of atoms: 3.66
Mass density in Mg/m³: 3.2
Formation enthalpy at 0 K in eV per formula unit: -27.37
Energy with MP2020 corrections in eV/atom: -7.5647

***

Record 2
Below is a relaxed LiFe2P3O10 crystal, with properties calculated at the PBE with a Hubbard U level.

Lattice parameters (Å, degrees): 4.704 8.701 9.098 90.00 96.45 90.00
Space group P2_1/m (No. 11)
Unique sites:
Li 0.000 0.000 0.000 x2
Fe 0.034 0.069 0.334 x4
P 0.332 0.250 0.823 x2
P 0.398 0.750 0.465 x2
P 0.459 0.250 0.142 x2
O 0.164 0.102 0.816 x4
O 0.228 0.602 0.487 x4
O 0.248 0.750 0.766 x2
O 0.284 0.103 0.157 x4
O 0.303 0.250 0.449 x2
O 0.436 0.750 0.290 x2
O 0.450 0.750 0.027 x2

Computed properties:
Mass density in Mg/m³: 3.3
Formation enthalpy at 0 K in eV per formula unit: -39.68
Energy with MP2020 corrections in eV/atom: -7.7653

***

Record 3
Below is a relaxed Li2FeP2O7 crystal, with properties calculated at the PBE with a Hubbard U level.

Lattice parameters (Å, degrees): 11.230 9.878 9.944 90.00 102.07 90.00
Space group P2_1/c (No. 14)
Unique sites:
Li 0.028 0.107 0.086 x4
Li 0.043 0.090 0.656 x4
Li 0.446 0.721 0.111 x4
Li 0.456 0.576 0.832 x4
Fe 0.179 0.712 0.246 x4
Fe 0.324 0.076 0.799 x4
P 0.108 0.204 0.381 x4
P 0.239 0.547 0.974 x4
P 0.243 0.568 0.559 x4
P 0.427 0.150 0.123 x4
O 0.001 0.134 0.277 x4
O 0.075 0.224 0.519 x4
O 0.110 0.565 0.563 x4
O 0.144 0.637 0.881 x4
O 0.154 0.171 0.816 x4
O 0.210 0.534 0.120 x4
O 0.224 0.102 0.404 x4
O 0.270 0.587 0.414 x4
O 0.295 0.079 0.113 x4
O 0.311 0.674 0.664 x4
O 0.370 0.585 0.977 x4
O 0.417 0.211 0.689 x4
O 0.448 0.160 0.976 x4
O 0.481 0.563 0.277 x4

Computed properties:
Polymorph energy (0 for the lowest one) in kJ/mol of atoms: 0.79
Mass density in Mg/m³: 3.0
Formation enthalpy at 0 K in eV per formula unit: -30.75
Energy with MP2020 corrections in eV/atom: -7.3752

***

Record 4
Below is a relaxed LiFeP3O9 crystal, with properties calculated at the PBE with a Hubbard U level.

Lattice parameters (Å, degrees): 6.413 6.430 6.444 107.23 107.13 107.79
Space group P1 (No. 1)
Unique sites:
Li 0.000 0.000 0.000 x1
Fe 0.631 0.631 0.635 x1
P 0.137 0.701 0.563 x1
P 0.566 0.140 0.700 x1
P 0.697 0.563 0.139 x1
O 0.022 0.776 0.727 x1
O 0.288 0.569 0.616 x1
O 0.291 0.939 0.539 x1
O 0.540 0.289 0.936 x1
O 0.559 0.607 0.284 x1
O 0.620 0.291 0.569 x1
O 0.728 0.022 0.774 x1
O 0.776 0.730 0.027 x1
O 0.935 0.540 0.292 x1

Computed properties:
'''
A little video was captured of the table around this point in the game:
Over in the land battle another British column had arrived and engaged forces outside the telegraph office ...
a furious fight at the hill slope to attempt to block the telegraph road access
more field artillery sallies from the walled town in an attempt to blast away the attacking land forces
overview of the land battle burning telegraph office seen in foreground to the right walled town in the distance
Supply column was overcome, while the naval fight continued, with the gunboat prevailing - now having sunk at least 5 sloops of the pirates and the command ship of El-Gandalfi!
gunboat laying waste to many smaller boats with wooden hulls
supply column captured by nomadic horsemen
The grinding attrition continued for a few more turns.
## Calculated crystals, as found in the file
=====
First-principles (GGA+U) data for a relaxed structure of Li4Mn5Cu2O12, as listed in the Materials Project database.

The structure in POSCAR format:
```
Li4Mn5Cu2O12
1.0
8.8065 0.0000 0.0000
0.0000 5.3536 0.0000
0.0000 1.2617 9.6765
Cu O Li Mn
4 24 8 10
Direct
0.2524 0.2468 0.0051
0.2380 0.7561 0.4931
0.7380 0.2439 0.5069
0.7524 0.7532 0.9949
0.3978 0.6023 0.3915
0.5843 0.5986 0.8883
0.7623 0.8238 0.6289
0.0786 0.6161 0.3892
0.2436 0.6788 0.8608
0.7622 0.6644 0.3636
0.8978 0.3977 0.6085
0.6007 0.8782 0.1297
0.4235 0.0945 0.9069
0.5786 0.3839 0.6108
0.9235 0.9055 0.0931
0.7436 0.3212 0.1392
0.5759 0.1411 0.3908
0.8892 0.0956 0.3968
0.0843 0.4014 0.1117
0.7659 0.1849 0.8700
0.2659 0.8151 0.1300
0.1007 0.1218 0.8703
0.9187 0.6047 0.8848
0.3892 0.9044 0.6032
0.2623 0.1762 0.3711
0.4187 0.3953 0.1152
0.0759 0.8589 0.6092
0.2622 0.3356 0.6364
0.5788 0.7603 0.5063
0.5939 0.4913 0.2637
0.0939 0.5087 0.7363
0.9029 0.0125 0.7380
0.4029 0.9875 0.2620
0.0788 0.2397 0.4937
0.4151 0.5229 0.7389
0.9151 0.4771 0.2611
0.4259 0.7358 0.0038
0.7448 0.5078 0.7449
0.9259 0.2642 0.9962
0.5885 0.2317 0.0072
0.2448 0.4922 0.2551
0.7540 0.9913 0.2551
0.9160 0.7427 0.4977
0.0885 0.7683 0.9928
0.4160 0.2573 0.5023
0.2540 0.0087 0.7449
```

As for the energy: -293.9 eV/cell. The calculation puts the total magnetization at 38.5 μB/cell. Its space group is P2_1 (4).

***

First-principles (GGA+U) data for a relaxed structure of Li2MnCuO4, as listed in the Materials Project database.

The structure in POSCAR format:
```
Li2MnCuO4
1.0
-0.8555 -2.0201 3.5036
0.4732 7.5056 2.0038
-4.9494 -1.0122 0.6466
Li O Cu Mn
4 8 2 2
Direct
0.2507 0.3762 0.8747
0.4999 0.7478 0.7480
0.2514 0.8748 0.3720
0.4990 0.2517 0.2537
0.2309 0.6152 0.1536
0.2324 0.1164 0.6516
0.7661 0.3837 0.8516
0.7714 0.8849 0.3421
0.5150 0.5080 0.4780
0.9831 0.2560 0.2897
0.9834 0.7272 0.7604
0.5161 0.0073 0.9752
0.7505 0.1266 0.6256
0.7496 0.6236 0.1243
0.0017 0.0009 0.9975
0.9988 0.4996 0.5020
```

The offset from the most stable computed form comes out at 0.011 eV per atom. The calculation puts the total magnetization at 0.4 μB/cell. Its space group is Cm (8).

***

First-principles (GGA+U) data for a relaxed structure of Li3MnCu2O6, as listed in the Materials Project database.

The structure in POSCAR format:
```
Li3MnCu2O6
1.0
1.4417 6.5359 0.0000
-1.4417 6.5359 0.0000
0.0000 1.2587 5.7198
O Li Cu Mn
6 3 2 1
Direct
0.0071 0.0071 0.2177
0.6654 0.6654 0.4278
0.6539 0.6539 0.9082
0.3461 0.3461 0.0918
0.3346 0.3346 0.5722
0.9929 0.9929 0.7823
0.5000 0.5000 0.5000
0.1699 0.1699 0.1672
0.8301 0.8301 0.8328
0.8292 0.8292 0.3421
0.1708 0.1708 0.6579
0.5000 0.5000 0.0000
```

As for the energy: -66.7 eV/cell. The calculation puts the total magnetization at 6.0 μB/cell. Its space group is C2/m (12).

***

First-principles (GGA+U) data for a relaxed structure of Li4MnCu3P4O16, as listed in the Materials Project database.

The structure in POSCAR format:
```
Li4MnCu3P4O16
1.0
6.1586 0.0000 0.0000
0.0000 4.7684 0.0000
=====
## The calculated crystals stop here
Valiantly, the troops from the island were transferred to the gunboat and a supply officer who fled the column managed to be rescued and attach to the gunboat as it steamed up river ...
the island garrison musters during the start of the day
loading into a launch, with some cavalry
the view of the telegraph fire
furious land battle near the telegraph office
neither side willing to surrender
the tribesmen who captured the telegraph office attempted to grab part of the supply column they were shot down by the gunboat!
view from the land to the sea
can you spot the opening between the two tables?
great view of the field
seeing the fort in the south with the pirates sails beyond
now the great gates to the walled town were to be sealed
Could the British stop the oncoming hordes?
the gun line (seen in the bottom of this image) did not manage to hold back the tide of onrushing Mahidist forces
casualties mounted on the gunboat even with the added redcoats to the marines not all guns could be kept manned
the balloonists view
out towards the telegraph office
the whole of the south of the field was now occupied by the attacking forces
even though the gunboat sank another three wooden pirate boats it was not enough to block the river channel
the pirates would succeed in penetrating the river channel and setting up a landing point close to the docks of the walled town
### Data records, as found in the file
1.
VASP calculation (GGA-PBE) on an optimized crystal structure of CsSeO4.

abc: 7.570 8.145 8.756
angles: 90.00 90.00 107.66
Atoms (fractional coordinates):
Cs 0.705 0.212 0.373
Cs 0.795 0.788 0.873
Cs 0.295 0.788 0.627
Cs 0.205 0.212 0.127
Se 0.782 0.741 0.363
Se 0.718 0.259 0.863
Se 0.218 0.259 0.637
Se 0.282 0.741 0.137
O 0.620 0.571 0.281
O 0.880 0.429 0.781
O 0.380 0.429 0.719
O 0.120 0.571 0.219
O 0.867 0.898 0.239
O 0.633 0.102 0.739
O 0.133 0.102 0.761
O 0.367 0.898 0.261
O 0.947 0.653 0.427
O 0.553 0.347 0.927
O 0.053 0.347 0.573
O 0.447 0.653 0.073
O 0.701 0.809 0.520
O 0.799 0.191 0.020
O 0.299 0.191 0.480
O 0.201 0.809 0.980

As for the energy above the most stable polymorph in this dataset: 0.004 eV per atom.

2.
VASP calculation (GGA-PBE) on an optimized crystal structure of Cs3Se2O8.

abc: 6.429 6.429 8.625
angles: 71.41 71.41 60.05
Atoms (fractional coordinates):
Cs 0.000 0.000 0.000
Cs 0.199 0.199 0.388
Cs 0.801 0.801 0.612
Se 0.430 0.430 0.768
Se 0.570 0.570 0.232
O 0.301 0.730 0.689
O 0.699 0.270 0.311
O 0.270 0.699 0.311
O 0.730 0.301 0.689
O 0.387 0.387 0.980
O 0.613 0.613 0.020
O 0.289 0.289 0.741
O 0.711 0.711 0.259

As for the energy above the most stable polymorph in this dataset: 0.000 eV per atom.

3.
VASP calculation (GGA-PBE) on an optimized crystal structure of CsSe2O6.

abc: 6.053 6.268 10.594
angles: 92.10 109.56 93.47
Atoms (fractional coordinates):
Cs 0.874 0.246 0.835
Cs 0.126 0.754 0.165
Se 0.410 0.750 0.825
Se 0.590 0.250 0.175
Se 0.795 0.757 0.492
Se 0.205 0.243 0.508
O 0.696 0.743 0.847
O 0.304 0.257 0.153
O 0.340 0.997 0.851
O 0.660 0.003 0.149
O 0.307 0.558 0.898
O 0.693 0.442 0.102
O 0.750 0.011 0.523
O 0.250 0.989 0.477
O 0.563 0.614 0.386
O 0.437 0.386 0.614
O 0.951 0.630 0.623
O 0.049 0.370 0.377

Its raw total energy is -4.838 eV per atom.

4.
VASP calculation (GGA-PBE) on an optimized crystal structure of Cs3Se2O8.

abc: 6.460 6.460 8.914
angles: 67.20 67.20 60.22
Atoms (fractional coordinates):
Cs 0.002 0.998 0.000
Cs 0.204 0.209 0.381
Cs 0.791 0.796 0.619
Se 0.396 0.416 0.767
Se 0.584 0.604 0.233
O 0.276 0.708 0.308
O 0.711 0.296 0.281
O 0.703 0.710 0.308
O 0.704 0.289 0.719
O 0.292 0.724 0.692
O 0.290 0.297 0.692
O 0.281 0.372 0.977
O 0.628 0.719 0.023

As for the energy above the most stable polymorph in this dataset: 0.005 eV per atom.

5.
VASP calculation (GGA-PBE) on an optimized crystal structure of Cs2Sn4Se9O.

abc: 12.813 12.825 14.110
angles: 90.00 90.00 90.00
Atoms (fractional coordinates):
Cs 0.250 0.434 0.434
Cs 0.250 0.066 0.934
Cs 0.750 0.566 0.566
Cs 0.750 0.934 0.066
Cs 0.825 0.460 0.940
Cs 0.325 0.540 0.060
Cs 0.325 0.960 0.560
Cs 0.825 0.040 0.440
Sn 0.105 0.178 0.236
Sn 0.396 0.321 0.735
Sn 0.605 0.822 0.764
Sn 0.896 0.679 0.265
Sn 0.896 0.821 0.765
Sn 0.605 0.678 0.264
Sn 0.396 0.179 0.235
Sn 0.105 0.322 0.736
Sn 0.912 0.369 0.324
Sn 0.587 0.133 0.824
Sn 0.412 0.631 0.676
Sn 0.087 0.867 0.176
Sn 0.087 0.633 0.676
Sn 0.412 0.869 0.176
Sn 0.587 0.367 0.324
Sn 0.912 0.131 0.824
So ... just as in Khartoum, the British were not able to stem the tide of attackers from either land or sea.
Great final game set and match for the War Dungeon!